**File:**
'''
Record 1
Density functional theory data (ωB97M-V with the def2-TZVPD basis set) for a structure of composition C19H17N5O6W.

Structure (ORCA input):
```
! wB97M-V def2-TZVPD RIJCOSX def2/J DEFGRID3
* xyz 0 1
W 0.3798 0.5431 -0.1149
N 1.6120 2.0879 -1.1610
C 3.0416 1.9179 -0.8468
C 3.1646 1.4945 0.6097
O 4.1954 1.6620 1.2371
N 2.0164 0.9560 1.0811
C 1.9534 0.6722 2.5089
C 0.5723 0.0638 2.6890
O 0.3222 -0.8237 3.4644
O -0.2724 0.6153 1.8324
H 1.4157 1.9866 -2.1524
H 1.2745 3.0074 -0.8892
H 3.6257 2.8241 -1.0007
H 3.4497 1.1309 -1.4824
H 2.0551 1.5852 3.1018
H 2.7409 -0.0100 2.8279
O -1.0175 1.9425 -0.4575
C -2.2701 1.9845 -0.0188
C -2.8724 3.2447 0.0901
C -4.1644 3.3982 0.5373
C -4.9121 2.2764 0.8958
C -4.3392 1.0318 0.7785
C -3.0295 0.8481 0.3130
C -2.5143 -0.5091 0.1704
N -1.2632 -0.9001 -0.0400
C -1.2545 -2.2777 -0.0781
C -2.5163 -2.7315 0.0958
N -3.2948 -1.6088 0.2462
H -2.2705 4.1010 -0.1864
H -4.5923 4.3890 0.6172
H -5.9217 2.3797 1.2685
H -4.9236 0.1727 1.0867
H -0.3541 -2.8456 -0.2217
H -2.9226 -3.7255 0.1312
H -4.2907 -1.6019 0.3696
O 0.6688 -1.1579 -3.9445
C 0.7440 -0.9054 -2.7633
O 0.1624 0.0859 -2.1534
C 1.5840 -1.7306 -1.8307
C 2.2718 -2.8550 -2.2421
C 3.0202 -3.5611 -1.3190
C 3.0497 -3.1026 -0.0072
C 2.3417 -1.9664 0.3245
N 1.6193 -1.2770 -0.5706
H 2.1956 -3.1430 -3.2817
H 3.5688 -4.4481 -1.6051
H 3.6145 -3.6253 0.7513
H 2.3360 -1.5949 1.3391
*
```

Energy above the lowest of the compared OMol25 structures with the same formula, charge and spin (kcal/mol): 0.0
E_HOMO (spin up / spin down) (Eh): -0.2620 / -0.2695
Orbital gap (spin up / spin down) (eV): 6.9 / 6.8
M (g mol⁻¹): 595.2


Record 2
Density functional theory data (ωB97M-V with the def2-TZVPD basis set) for a structure of composition C24H20BN10O5PbS.

Structure (ORCA input):
```
! wB97M-V def2-TZVPD RIJCOSX def2/J DEFGRID3
* xyz 2 2
Pb -0.0271 -0.6536 0.0459
C -1.0326 3.5328 1.4273
C -0.1846 2.4400 1.3335
N -0.8529 1.3663 0.9103
N -2.1403 1.7552 0.7042
C -2.2638 3.0557 1.0122
B -3.1795 0.7023 0.2076
N -2.7812 0.2838 -1.2500
C -3.4748 0.5005 -2.3769
C -2.7452 0.0213 -3.4513
C -1.5795 -0.4830 -2.8897
N -1.6119 -0.3205 -1.5645
N -3.0772 -0.5270 1.1579
C -3.9267 -0.9412 2.1140
C -3.3921 -2.0518 2.7365
C -2.1704 -2.2517 2.1029
N -1.9856 -1.3272 1.1595
N -4.6027 1.1959 0.1547
C -5.7127 0.4194 -0.0391
C -6.7592 1.2500 -0.3142
C -6.1931 2.5442 -0.2931
N -4.9015 2.5071 -0.0277
H -0.7942 4.5347 1.7399
H 0.8707 2.3708 1.5539
H -3.2151 3.5492 0.9067
H -4.4362 0.9898 -2.3648
H -3.0277 0.0378 -4.4897
H -0.7342 -0.9626 -3.3598
H -4.8526 -0.4263 2.3069
H -3.8272 -2.6275 3.5348
H -1.4241 -3.0147 2.2694
H -5.6769 -0.6575 0.0115
H -7.7810 0.9771 -0.5177
H -6.6755 3.4938 -0.4650
O 5.1820 -0.6623 -5.2836
C 4.2356 -0.7256 -4.3722
C 3.8740 -1.8376 -3.5773
C 2.8387 -1.5753 -2.7372
N 1.9324 -0.7173 -2.2662
C 2.5009 0.1289 -3.1228
C 3.4285 0.3926 -4.0750
C 1.0340 2.6578 -2.5419
O 1.5888 3.2095 -3.3933
O 0.4715 2.1104 -1.6792
C 2.3663 -3.9496 -0.8126
O 3.4522 -4.2907 -1.0263
O 1.2808 -3.5926 -0.5893
H 5.6416 -1.5025 -5.4110
H 4.3551 -2.8051 -3.6297
H 3.5324 1.3484 -4.5686
S 3.3278 -0.8370 1.1309
C 4.1643 -0.7676 2.6207
N 5.1729 -1.6629 2.8430
C 5.8948 -1.7075 3.9644
C 5.6286 -0.8203 4.9897
C 4.6166 0.1157 4.8192
C 3.8879 0.1464 3.6376
H 5.3783 -2.3194 2.0956
H 6.6722 -2.4579 4.0134
H 6.2046 -0.8617 5.9029
H 4.4022 0.8282 5.6055
H 3.1036 0.8720 3.4772
*
```

E_HOMO (spin up / spin down) (Eh): -0.4871 / -0.4871
Orbital gap (spin up / spin down) (eV): 6.5 / 3.8
M (g mol⁻¹): 778.6
Expectation value of S²: 0.7725


Record 3
Density functional theory data (ωB97M-V with the def2-TZVPD basis set) for a cluster of 2 separate species, C25H33F2OSi in total.

Structure (ORCA input):
```
! wB97M-V def2-TZVPD RIJCOSX def2/J DEFGRID3
* xyz 1 1
C 3.8958 3.4147 0.1232
Si 2.6105 3.0850 1.4308
C 2.6779 1.3876 2.1923
C 2.6202 4.4081 2.7464
O 1.2443 3.1651 0.4479
C -0.0332 3.0093 0.8937
C -0.6979 1.8594 0.5964
C -1.9920 1.5257 1.2464
C -3.1796 2.4401 0.8886
C -3.1183 3.8149 1.5425
C -1.9335 4.6625 1.1022
'''

**Wanted:**
It remains to copy every line further above that contains the word "xyz".

**Outcome:**
* xyz 0 1
* xyz 2 2
* xyz 1 1